Let the sun shine in Leiden!
_Records of crystals from another source follow_
********
This entry pairs a crystal structure of La2Ho5Er3 with its simulated powder X-ray diffraction pattern. Radiation: Cu Kα. Structure: the GGA-PBE geometry in Alexandria.

Most intense lines, 15° ≤ 2θ ≤ 90°, sorted by position:
| two_theta | I (rel.) |
| --- | --- |
| 20.38 | 19 |
| 27.66 | 24 |
| 30.55 | 38 |
| 31.06 | 89 |
| 32.40 | 89 |
| 33.15 | 100 |
| 36.88 | 27 |
| 48.95 | 22 |
| 57.05 | 19 |
| 62.33 | 21 |

Crystal structure
a = 8.983 Å, b = 8.983 Å, c = 9.753 Å
α = 105.81°, β = 105.81°, γ = 105.32°
Element x y z (fractional)
La (0.050, 0.299, 0.044)
La (0.299, 0.050, 0.544)
La (0.701, 0.950, 0.456)
La (0.950, 0.701, 0.956)
Ho (0.033, 0.967, 0.750)
Ho (0.072, 0.322, 0.667)
Ho (0.253, 0.747, 0.750)
Ho (0.322, 0.072, 0.167)
Ho (0.495, 0.505, 0.750)
Ho (0.505, 0.495, 0.250)
Ho (0.678, 0.928, 0.833)
Ho (0.747, 0.253, 0.250)
Ho (0.928, 0.678, 0.333)
Ho (0.967, 0.033, 0.250)
Er (0.201, 0.452, 0.419)
Er (0.273, 0.727, 0.250)
Er (0.452, 0.201, 0.919)
Er (0.548, 0.799, 0.081)
Er (0.727, 0.273, 0.750)
Er (0.799, 0.548, 0.581)
********
The Leiden Observatory is starting a crowdfunding campaign to raise enough money to construct a new telescope.
For everyone
The campaign ‘Let the sun shine in Leiden!’ is aiming to add a new telescope to the Old Observatory for the first time in 68 years. The new addition will also be made accessible to everyone. This project is a unique collaborative effort involving volunteers, astronomers, instrument developers and the wider public. Together, they are aiming to raise the necessary twenty thousand euros.
The crowdfunding campaign will kick off on 26 January, and will conclude, at the latest, during the solar eclipse on 20 March 2015.
‘Live images’ broadcast from the sun
The solar telescope consists of an ingenious mirroring system, which sends sunlight from the roof of the Old Observatory all the way down to the visitor’s centre in the basement. The ‘live images’ of the sun (with a diameter of 1 meter) are projected directly onto a wall. This enables the public to see the sun at close range and experience the solar flares, sunspots and other activities on the surface of our own star.
A tradition of crowdfunding

Let the sun shine in Leiden! is an online fundraising project, a relatively new way of gathering capital. And yet, as Leiden astronomer and project leader Ivo Labbé explains, the concept isn’t as new as many people assume. ‘The Old Leiden Observatory was also realised through crowdfunding in 1854. At the time, the Dutch people and Leiden’s students and professors gathered a substantial sum which as used to construct the original observatory. A new crowdfunding campaign thus perfectly fits into an old-fashioned Leiden tradition.’
A unique project for Leiden
____________
[1]
Starting from a DFT-relaxed cell (PBE, Alexandria), the powder diffraction line list of HoZr2Sc12 was computed for Cu Kα.
Lines closer than 0.1° are merged.

Principal peaks in the range 5 to 70 degrees two-theta, low angle first:
2θ 21.6, rel. 33; 2θ 24.6, rel. 26; 2θ 26.6, rel. 47; 2θ 27.1, rel. 35; 2θ 32.9, rel. 68; 2θ 34.6, rel. 62; 2θ 35.0, rel. 100; 2θ 36.5, rel. 30; 2θ 44.0, rel. 36; 2θ 52.2, rel. 27

Structural model:
Lattice parameters (Å, degrees): 5.818 5.818 22.994 90.00 90.00 90.00
Fractional coordinates of all 30 atoms:
Ho (0.250, 0.750, 0.000)
Ho (0.750, 0.250, 0.000)
Zr (0.250, 0.750, 0.279)
Zr (0.250, 0.750, 0.721)
Zr (0.750, 0.250, 0.279)
Zr (0.750, 0.250, 0.721)
Sc (0.068, 0.568, 0.123)
Sc (0.068, 0.932, 0.877)
Sc (0.081, 0.581, 0.439)
Sc (0.081, 0.919, 0.561)
Sc (0.250, 0.250, 0.221)
Sc (0.250, 0.250, 0.341)
Sc (0.250, 0.250, 0.659)
Sc (0.250, 0.250, 0.779)
Sc (0.419, 0.581, 0.561)
Sc (0.419, 0.919, 0.439)
Sc (0.432, 0.568, 0.877)
Sc (0.432, 0.932, 0.123)
Sc (0.568, 0.068, 0.877)
Sc (0.568, 0.432, 0.123)
Sc (0.581, 0.081, 0.561)
Sc (0.581, 0.419, 0.439)
Sc (0.750, 0.750, 0.221)
Sc (0.750, 0.750, 0.341)
Sc (0.750, 0.750, 0.659)
Sc (0.750, 0.750, 0.779)
Sc (0.919, 0.081, 0.439)
Sc (0.919, 0.419, 0.561)
Sc (0.932, 0.068, 0.123)
Sc (0.932, 0.432, 0.877)

[2]
Starting from a DFT-relaxed cell (PBE, Alexandria), the powder diffraction line list of Sr2Mg17Zn3 was computed for Cu Kα.
Lines closer than 0.1° are merged.

Principal peaks in the range 5 to 70 degrees two-theta, low angle first:
2θ 10.8, rel. 22; 2θ 16.7, rel. 37; 2θ 25.2, rel. 26; 2θ 27.0, rel. 25; 2θ 32.3, rel. 100; 2θ 32.7, rel. 30; 2θ 33.4, rel. 36; 2θ 33.8, rel. 42; 2θ 47.2, rel. 25; 2θ 47.4, rel. 53

Structural model:
Lattice parameters (Å, degrees): 8.312 8.312 8.312 83.57 83.57 83.57
Fractional coordinates of all 22 atoms:
Sr (0.159, 0.159, 0.159)
Sr (0.841, 0.841, 0.841)
Mg (0.000, 0.500, 0.500)
Mg (0.166, 0.166, 0.672)
Mg (0.166, 0.672, 0.166)
Mg (0.235, 0.500, 0.765)
Mg (0.235, 0.765, 0.500)
Mg (0.328, 0.834, 0.834)
Mg (0.399, 0.399, 0.399)
Mg (0.500, 0.000, 0.500)
Mg (0.500, 0.235, 0.765)
Mg (0.500, 0.500, 0.000)
Mg (0.500, 0.765, 0.235)
Mg (0.601, 0.601, 0.601)
Mg (0.672, 0.166, 0.166)
Mg (0.765, 0.235, 0.500)
Mg (0.765, 0.500, 0.235)
Mg (0.834, 0.328, 0.834)
Mg (0.834, 0.834, 0.328)
Zn (0.000, 0.000, 0.500)
Zn (0.000, 0.500, 0.000)
Zn (0.500, 0.000, 0.000)

[3]
Starting from a DFT-relaxed cell (PBE, Alexandria), the powder diffraction line list of Tm4TlCd was computed for Cu Kα.
Lines closer than 0.1° are merged.

Principal peaks in the range 5 to 70 degrees two-theta, low angle first:
2θ 6.6, rel. 4; 2θ 28.7, rel. 2; 2θ 32.5, rel. 100; 2θ 36.1, rel. 38; 2θ 40.7, rel. 13; 2θ 51.9, rel. 14; 2θ 55.5, rel. 21; 2θ 62.6, rel. 31; 2θ 68.0, rel. 11; 2θ 68.9, rel. 10

Structural model:
Lattice parameters (Å, degrees): 3.523 3.523 13.307 90.00 90.00 90.00
Fractional coordinates of all 6 atoms:
Tm (0.000, 0.000, 0.155)
Tm (0.000, 0.000, 0.845)
____________
The scientific director of the Leiden Observatory, Professor Huub Röttgering, added the following: ‘With this new addition, everyone will be able to see the majesty and beauty of the activities on the surface of the sun with their own eyes. The new solar telescope will form the centre piece of an exhibition that will be unveiled later this year; an exhibition that will allow us to travel through our entire universe, all the way back to the Big Bang.’
Professor Carel Stolker, Rector Magnificus and President of Leiden University, further emphasizsed the importance of this crowdfunding campaign: ‘A solar telescope in the beautifully restored Old Observatory, a showpiece of university and city. This telescope will be a wonderful introduction to astronomy and to the amazing world of science and technology.’
**Unrelated to this piece: materials data:**
(1)
Simulated powder XRD pattern
Compound: CeIn2Ni9
Radiation: Cu Kα (λ = 1.5418 Å)
Structure: a GGA-PBE-relaxed structure

Cell and atoms:
```
data_CeIn2Ni9
_symmetry_space_group_name_H-M 'P 1'
_symmetry_Int_Tables_number 1
_symmetry_space_group_name_Hall 'P 1'
_cell_length_a 8.273
_cell_length_b 8.273
_cell_length_c 4.831
_cell_angle_alpha 90.00
_cell_angle_beta 90.00
_cell_angle_gamma 90.00
loop_
_atom_site_label
_atom_site_type_symbol
_atom_site_fract_x
_atom_site_fract_y
_atom_site_fract_z
Ce1 Ce 0.000 0.000 0.000
Ce2 Ce 0.500 0.500 0.000
In1 In 0.123 0.377 0.000
In2 In 0.377 0.877 0.000
In3 In 0.623 0.123 0.000
In4 In 0.877 0.623 0.000
Ni1 Ni 0.000 0.500 0.500
Ni2 Ni 0.064 0.205 0.500
Ni3 Ni 0.176 0.676 0.246
Ni4 Ni 0.176 0.676 0.754
Ni5 Ni 0.205 0.936 0.500
Ni6 Ni 0.295 0.436 0.500
Ni7 Ni 0.324 0.176 0.246
Ni8 Ni 0.324 0.176 0.754
Ni9 Ni 0.436 0.705 0.500
Ni10 Ni 0.500 0.000 0.500
Ni11 Ni 0.564 0.295 0.500
Ni12 Ni 0.676 0.824 0.246
Ni13 Ni 0.676 0.824 0.754
Ni14 Ni 0.705 0.564 0.500
Ni15 Ni 0.795 0.064 0.500
Ni16 Ni 0.824 0.324 0.246
Ni17 Ni 0.824 0.324 0.754
Ni18 Ni 0.936 0.795 0.500
```

Main lines, in order of rising 2θ (2θ = 5–70°):
| Position (°2θ) | I/Imax |
| --- | --- |
| 34.3 | 23 |
| 35.9 | 21 |
| 37.2 | 17 |
| 39.2 | 100 |
| 43.4 | 28 |
| 43.7 | 41 |
| 44.8 | 72 |
| 45.2 | 33 |
| 49.2 | 21 |
| 68.4 | 17 |


(2)
Simulated powder XRD pattern
Compound: Ti2S3
Radiation: Cu Kα (λ = 1.5418 Å)
Structure: a GGA-PBE-relaxed structure

Cell and atoms:
```
data_Ti2S3
_symmetry_space_group_name_H-M 'P 1'
_symmetry_Int_Tables_number 1
_symmetry_space_group_name_Hall 'P 1'
_cell_length_a 5.939
_cell_length_b 5.939
_cell_length_c 6.055
_cell_angle_alpha 99.48
_cell_angle_beta 99.48
_cell_angle_gamma 119.91
loop_
_atom_site_label
_atom_site_type_symbol
_atom_site_fract_x
_atom_site_fract_y
_atom_site_fract_z
Ti1 Ti 0.000 0.000 0.000
Ti2 Ti 0.172 0.828 0.500
Ti3 Ti 0.500 0.500 0.500
Ti4 Ti 0.828 0.172 0.500
S1 S 0.082 0.417 0.243
S2 S 0.250 0.250 0.747
S3 S 0.417 0.082 0.243
S4 S 0.583 0.918 0.757
S5 S 0.750 0.750 0.253
S6 S 0.918 0.583 0.757
```

Main lines, in order of rising 2θ (2θ = 5–70°):
| Position (°2θ) | I/Imax |
| --- | --- |
| 15.5 | 17 |
| 18.0 | 6 |
| 20.1 | 6 |
| 30.5 | 11 |
| 36.8 | 100 |
| 40.1 | 5 |
| 52.6 | 32 |
| 53.4 | 30 |
| 65.3 | 5 |
| 66.6 | 15 |


(3)
Simulated powder XRD pattern
Compound: Li5BiP4O14
Radiation: Cu Kα (λ = 1.5418 Å)
Structure: a GGA-PBE-relaxed structure

Cell and atoms:
```
data_Li5BiP4O14
_symmetry_space_group_name_H-M 'P 1'
_symmetry_Int_Tables_number 1
_symmetry_space_group_name_Hall 'P 1'
_cell_length_a 7.244
_cell_length_b 8.728
_cell_length_c 9.902
_cell_angle_alpha 76.99
_cell_angle_beta 76.75
_cell_angle_gamma 69.03
loop_
_atom_site_label
_atom_site_type_symbol
_atom_site_fract_x
_atom_site_fract_y
_atom_site_fract_z
Li1 Li 0.035 0.486 0.139
Li2 Li 0.242 0.732 0.910
Li3 Li 0.283 0.262 0.584
Li4 Li 0.336 0.189 0.278
Li5 Li 0.441 0.488 0.357
Li6 Li 0.559 0.512 0.643
Li7 Li 0.664 0.811 0.722
**Back to the piece:**
More information
Crowdfunding campaign: let the sun shine in Leiden (in Dutch)
Watching the solar eclipse
2015 will be a fantastic year for watching solar activity. Among others, this year is the so-called solar maximum, the period of greatest solar activity in the sun’s eleven-year cycle. This will result in the largest number of flares and sun spots of the past eleven years. And on 20 March 2015, a partial solar eclipse will take place, during which the moon will cover an astounding 84 percent of the sun. There won’t be another solar eclipse visible from the Netherlands until 2026. Students from Leiden’s Instrument Makers School are already lined up to finish the solar telescope before the eclipse takes place.